Entries
┌──
No. 1
C4H8N2 in the gas phase at a distorted geometry. Source: the Open Molecules 2025 dataset; level of theory: wB97M-V/def2-TZVPD.

Last column: Mulliken charge in e.
Element x y z (Å)
1 H -0.552 -1.175 0.760  0.225
2 H -1.787 1.708 0.678  0.323
3 H -2.348 0.368 1.673  0.361
4 H 1.149 -1.600 -0.535  0.260
5 N 3.233 0.313 0.833  -0.419
6 H 0.018 1.019 -1.054  0.264
7 C 2.427 -0.063 0.092  0.372
8 C -0.503 -0.074 0.648  -0.266
9 H 1.697 -0.448 -1.846  0.329
10 H 0.149 0.284 1.466  0.302
11 C -1.864 0.612 0.726  -1.242
12 H -2.519 0.294 -0.092  0.339
13 C 1.349 -0.550 -0.809  -0.546
14 N 0.088 0.099 -0.656  -0.302

## Properties
**LUMO**: 0.936 eV
**Calculated total energy**: -266.69919 hartree
**Orbital gap**: 10.41 eV
**Energy above the lowest of the compared OMol25 structures with the same formula, charge and spin**: 0.621 eV
**HOMO energy**: -9.5 eV

=====

No. 2
C4H8N2 in the gas phase at a distorted geometry. Source: the Open Molecules 2025 dataset; level of theory: wB97M-V/def2-TZVPD.

Last column: Mulliken charge in e.
Element x y z (Å)
1 H -2.131 0.942 -0.554  0.374
2 H -1.193 0.162 -1.637  0.328
3 H 1.421 -0.845 1.289  0.327
4 C -0.470 0.039 0.474  0.334
5 H 2.474 -0.550 -0.515  0.317
6 H 0.470 -1.984 0.179  0.315
7 C 0.332 1.197 0.350  -0.200
8 N 1.460 -0.276 -0.768  -0.367
9 H -2.046 -0.934 -0.561  0.359
10 H -0.924 -0.020 1.495  0.271
11 N 1.361 1.047 -0.374  -0.493
12 C -1.566 0.008 -0.610  -1.343
13 H 0.081 2.160 0.844  0.414
14 C 0.731 -0.947 0.390  -0.636

## Properties
**LUMO**: 0.974 eV
**Calculated total energy**: -266.64817 hartree
**Orbital gap**: 10.07 eV
└──

Activity
Could you repeat the lines further above up to the one that holds "0.332 1.197", that line included?

Result
No. 1
C4H8N2 in the gas phase at a distorted geometry. Source: the Open Molecules 2025 dataset; level of theory: wB97M-V/def2-TZVPD.

Last column: Mulliken charge in e.
Element x y z (Å)
1 H -0.552 -1.175 0.760  0.225
2 H -1.787 1.708 0.678  0.323
3 H -2.348 0.368 1.673  0.361
4 H 1.149 -1.600 -0.535  0.260
5 N 3.233 0.313 0.833  -0.419
6 H 0.018 1.019 -1.054  0.264
7 C 2.427 -0.063 0.092  0.372
8 C -0.503 -0.074 0.648  -0.266
9 H 1.697 -0.448 -1.846  0.329
10 H 0.149 0.284 1.466  0.302
11 C -1.864 0.612 0.726  -1.242
12 H -2.519 0.294 -0.092  0.339
13 C 1.349 -0.550 -0.809  -0.546
14 N 0.088 0.099 -0.656  -0.302

## Properties
**LUMO**: 0.936 eV
**Calculated total energy**: -266.69919 hartree
**Orbital gap**: 10.41 eV
**Energy above the lowest of the compared OMol25 structures with the same formula, charge and spin**: 0.621 eV
**HOMO energy**: -9.5 eV

=====

No. 2
C4H8N2 in the gas phase at a distorted geometry. Source: the Open Molecules 2025 dataset; level of theory: wB97M-V/def2-TZVPD.

Last column: Mulliken charge in e.
Element x y z (Å)
1 H -2.131 0.942 -0.554  0.374
2 H -1.193 0.162 -1.637  0.328
3 H 1.421 -0.845 1.289  0.327
4 C -0.470 0.039 0.474  0.334
5 H 2.474 -0.550 -0.515  0.317
6 H 0.470 -1.984 0.179  0.315
7 C 0.332 1.197 0.350  -0.200